Contents =
********
This record from Materials Project describes a geometry-optimized AgHPbC2SN2O structure. The functional is PBE.

abc: 21.9468 4.1108 7.3619
angles: 90.00 90.00 90.00
Last column: nearest neighbours and their distance in Å.
Space group Pnma (No. 62)
One atom of each set of equivalent atoms:
Ag (0.1983, 0.2500, 0.0100)  1 C 2.11
H (0.0479, 0.7500, 0.7105)  1 O 0.98
Pb (0.0435, 0.7500, 0.3084)  3 O 2.44-2.45, 1 N 2.65
C (0.1033, 0.2500, 0.9628)  1 N 1.18
C (0.1770, 0.2500, 0.5376)  1 N 1.18
S (0.2431, 0.2500, 0.6453)  1 C 1.65
N (0.0528, 0.2500, 0.9098)  1 C 1.18
N (0.1296, 0.2500, 0.4614)  1 C 1.18
O (0.0132, 0.7500, 0.6272)  1 H 0.98

Calculated values
**Magnetic moment**: 0.0 μB per cell
**Crystal system**: orthorhombic
**ΔH_f (0 K)**: -250 meV/atom
**E_tot**: -6.135 eV per atom



This record from Materials Project describes a geometry-optimized TbAg3H6C6N6O3 structure. The functional is PBE.

abc: 6.7756 6.7756 18.4307
angles: 90.00 90.00 120.00
Last column: nearest neighbours and their distance in Å.
Space group P6_3/mcm (No. 193)
One atom of each set of equivalent atoms:
Tb (0.0000, 0.0000, 0.2500)  3 O 2.44, 6 N 2.52
Ag (0.0000, 0.5000, 0.0000)  2 C 2.06
H (0.0000, 0.4465, 0.2075)  1 O 0.98
C (0.0000, 0.3463, 0.5963)  1 N 1.17
N (0.0000, 0.2564, 0.6507)  1 C 1.17
O (0.0000, 0.3602, 0.2500)  2 H 0.98

Calculated values
**Magnetic moment**: 0.0 μB per cell
**Crystal system**: hexagonal
**ΔH_f (0 K)**: -391 meV/atom
**E_tot**: -6.458 eV per atom



This record from Materials Project describes a geometry-optimized TbAgH18C20N6O12 structure. The functional is PBE.

abc: 7.0900 12.2026 14.6519
angles: 80.32 76.81 83.82
Last column: nearest neighbours and their distance in Å.
Space group P-1 (No. 2)
One atom of each set of equivalent atoms:
Tb (0.1647, 0.0196, 0.1954)  8 O 2.32-2.59
Ag (0.2631, 0.4225, 0.5091)  3 N 2.18-2.37
H (0.0644, 0.0967, 0.8830)  1 O 0.98
H (0.1063, 0.7230, 0.7122)  1 C 1.08
H (0.1286, 0.3905, 0.7521)  1 C 1.09
H (0.1356, 0.8540, 0.0600)  1 O 1.02
H (0.1454, 0.0616, 0.5345)  1 C 1.09
H (0.1558, 0.7113, 0.4200)  1 C 1.09
H (0.1766, 0.4360, 0.1531)  1 C 1.09
H (0.1791, 0.8297, 0.8924)  1 O 0.99
H (0.2411, 0.7610, 0.2133)  1 O 1.00
H (0.2907, 0.9060, 0.8030)  1 O 0.98
H (0.3081, 0.2842, 0.8998)  1 C 1.09
H (0.3089, 0.6409, 0.8800)  1 C 1.09
H (0.3542, 0.8283, 0.6758)  1 C 1.09
H (0.3704, 0.4404, 0.2615)  1 C 1.09
H (0.4139, 0.8092, 0.2443)  1 O 0.98
H (0.4155, 0.0687, 0.8494)  1 O 0.99
H (0.4292, 0.7699, 0.3864)  1 C 1.09
H (0.4469, 0.0757, 0.9505)  1 O 0.98
C (0.0844, 0.7024, 0.6464)  1 H 1.08
C (0.1101, 0.6966, 0.4967)  1 H 1.09
C (0.2131, 0.6565, 0.0671)  2 O 1.27-1.28
C (0.2164, 0.4448, 0.0761)  1 H 1.09
C (0.2208, 0.2346, 0.0895)  2 O 1.27-1.29
C (0.2402, 0.5507, 0.0220)  3 C 1.40-1.52
C (0.2420, 0.3486, 0.0326)  3 C 1.39-1.50
C (0.2485, 0.1234, 0.6890)  2 O 1.27-1.28
C (0.2623, 0.4325, 0.7245)  1 H 1.09
C (0.2802, 0.1035, 0.5152)  1 H 1.09
C (0.2897, 0.3583, 0.9339)  1 H 1.09
C (0.2903, 0.5593, 0.9232)  1 H 1.09
C (0.3139, 0.4635, 0.8808)  2 C 1.39, 1 N 1.43
C (0.3148, 0.0743, 0.3451)  2 O 1.27-1.29
C (0.3498, 0.1430, 0.5851)  3 C 1.40-1.52
C (0.3727, 0.7909, 0.5344)  2 C 1.39-1.40, 1 N 1.43
C (0.3861, 0.1158, 0.4212)  3 C 1.40-1.50
C (0.4377, 0.8334, 0.6032)  1 H 1.09
C (0.4792, 0.8016, 0.4410)  1 H 1.09
C (0.4831, 0.4789, 0.2817)  1 H 1.09
N (0.0432, 0.3564, 0.4550)  1 C 1.32, 1 N 1.38
N (0.0604, 0.3531, 0.3598)  1 C 1.32, 1 N 1.38
N (0.1972, 0.7347, 0.5582)  3 C 1.37-1.43
N (0.3506, 0.4555, 0.6347)  1 C 1.32, 1 N 1.38
N (0.3622, 0.4727, 0.7795)  3 C 1.36-1.43
N (0.4878, 0.4885, 0.3694)  1 C 1.32, 1 N 1.38
O (0.0703, 0.9210, 0.0915)  2 H 0.98-1.02
O (0.1006, 0.0669, 0.7082)  1 C 1.27
O (0.1363, 0.0569, 0.3579)  1 C 1.27
O (0.1649, 0.8742, 0.8311)  2 H 0.98-0.99
O (0.1747, 0.2242, 0.1794)  1 C 1.27
O (0.1933, 0.6471, 0.1563)  1 C 1.27
O (0.2133, 0.7487, 0.0105)  1 C 1.28
O (0.2473, 0.1488, 0.0465)  1 C 1.29
O (0.2718, 0.8148, 0.2516)  2 H 0.98-1.00
O (0.3168, 0.1617, 0.7497)  1 C 1.28
********
What to do =
Say how many lines of the notes further up hold the word "E_tot", as a bare number.
Completed =
2